Thursday 30 June 2016

Mountain meadows on Nanos

Lilium carniolicum, Nanos, 28th June 2016. Quite frequent species on the sunny, grassy slopes of mount Nanos, but still, always a thrill to see. This species got its name from Carniola (historical region of Slovenia) and is also present in other parts of the country, usually favouring sunny, open areas on a higher elevation.
Lush meadows on Nanos plateau, 28th June 2016. With Filipendula vulgaris, Gladiolus illyricus, Cirsium pannonicum, Rhinanthus sp. ect. A real spectacle with tens of different colorful species.
Gladiolus illyricus, Nanos, 28th June 2016. Common on Nanos where it can form nice pink "carpets" in the late-spring grass.
Satyrium spini, Nanos, 28th June 2016.
Astragalus carniolicus, Nanos, 28th June 2016. Nanos is the locus typicus of this species that is quite frequent among limestone rocks.
Rocky ridge near Nanos' top and forested hills separating the Karst from the Vipava valley, 28th June 2016.
Genista sericea, Nanos, 28th June 2016. In full bloom now on the most sunny rocky spots on Nanos (especially around the summit). Can form large yellow cushions, visible at a long distance.
Steep grassy slope close to the summit, Nanos, 28th June 2016. A quite hostile, wind-swept environment, but still, full of interesting forms of life. Lilium carniolicum here is very common and Rock Thrush Monticola saxatilis breeds among the rocks.
Alpine Chamois Rupicapra rupicapra, Nanos, 28th June 2016. Three young individuals in summer coat. Chamois is frequently seen resting on the limestone screes or sometimes grazing the lush green meadows on the plateau.
Rosa sp., Nanos, 28th June 2016.
(Calculated molecules, as found in the file)
- - -
1:
Molecular formula: C2H10N2S
Method: DFT, wB97M-V/def2-TZVPD

Calculated values
- HOMO (eV) = -9.042

Geometry as XYZ:
```
15
Properties=species:S:1:pos:R:3:lowdin_charge:R:1
N -1.5340 -3.3036 -2.9293 -0.07
C -2.1984 -2.6427 -1.7783 -0.38
N -2.3719 -1.1683 -1.5469 -0.03
H -1.6285 -4.2840 -2.7447 0.03
H -0.3903 -3.2409 -2.8192 0.13
H -1.4742 -2.9909 -0.9648 0.11
H -3.1549 -3.1462 -1.7663 0.09
H -2.4906 -0.7606 -2.5268 0.08
H -3.1981 -0.8026 -1.1141 0.04
C 3.2780 3.3528 2.7063 -0.48
S 2.0828 3.9193 3.9972 0.56
H 3.8476 2.6622 3.3125 0.00
H 3.9866 4.1465 2.4719 0.03
H 2.8481 2.9562 1.8257 0.01
H 2.3977 5.3029 3.8768 -0.12
```

2:
Molecular formula: C2H10N2S
Method: DFT, wB97M-V/def2-TZVPD

Calculated values
- HOMO (eV) = -8.919

Geometry as XYZ:
```
15
Properties=species:S:1:pos:R:3:lowdin_charge:R:1
N 1.4780 -1.6340 0.1979 -0.01
C 0.8307 -0.4448 -0.3524 -0.34
C -0.6818 -0.6282 -0.4469 -0.34
N -1.2403 0.5171 -1.1806 -0.05
H 0.0553 0.7155 1.5870 0.07
H 1.7340 -1.6040 1.1715 0.06
H 2.1934 -2.0484 -0.3707 0.06
H 1.2010 0.4960 0.0626 0.07
H 1.1349 -0.4417 -1.4070 0.11
H -0.8844 -1.5589 -0.9860 0.11
H -1.1819 -0.6923 0.5286 0.08
H -2.2254 0.3836 -1.3733 0.06
H -1.1668 1.3682 -0.6059 -0.05
S -0.9625 2.2078 1.5624 0.42
H -0.2841 3.3641 1.6128 -0.24
```

Most stable: 1. Least stable: 2.

1:
Molecular formula: C8H12N4
Method: DFT, wB97M-V/def2-TZVPD

Calculated values
- HOMO (eV) = -8.264

Geometry as XYZ:
```
24
Properties=species:S:1:pos:R:3:lowdin_charge:R:1
C -1.6667 -0.8093 -3.6318 -0.05
C -1.6177 0.1254 -2.4684 -0.37
C -0.6070 0.8535 -1.9353 -0.08
N -1.1070 1.4455 -0.7941 0.05
C -2.3755 0.9648 -0.6551 -0.21
N -2.6993 0.1691 -1.6227 0.09
H -1.5045 -1.8259 -3.2819 0.07
H -0.8978 -0.6421 -4.3866 0.07
H -2.6369 -0.7150 -4.1148 0.07
H 0.3894 1.0321 -2.2961 0.11
H -0.6058 2.0963 -0.2345 0.12
H -2.9261 1.2383 0.2318 0.11
C 0.7305 -2.0507 1.8918 -0.05
C 1.2698 -0.6634 1.9833 -0.36
C 2.5500 -0.2928 2.2848 -0.07
N 2.5349 1.0813 2.3082 0.04
C 1.2546 1.4662 2.1039 -0.22
N 0.4581 0.4408 1.9514 0.09
H 0.7098 -2.5325 2.8714 0.07
H 1.3047 -2.6406 1.1870 0.07
H -0.3299 -2.0473 1.6406 0.07
H 3.4533 -0.8698 2.3032 0.11
H 3.3246 1.6651 2.5175 0.14
H 0.9944 2.5108 2.1464 0.11
```

2:
Molecular formula: C8H12N4
Method: DFT, wB97M-V/def2-TZVPD

Calculated values
- HOMO (eV) = -11.474

Geometry as XYZ:
```
24
Properties=species:S:1:pos:R:3:lowdin_charge:R:1
C -8.0494 -2.5027 6.2299 -0.09
C -7.6747 -3.7595 5.7035 -0.26
N -7.4006 -4.7943 5.1880 0.15
H -8.1909 -2.4587 7.3098 0.05
H -9.0107 -2.2008 5.8141 0.09
H -7.3889 -1.7234 5.8496 0.09
C -5.3729 -6.7374 6.6354 -0.10
C -6.6423 -7.2896 7.0277 -0.31
N -7.6572 -7.7708 7.3937 0.13
H -5.3745 -5.7061 6.9882 0.06
H -5.3449 -6.8214 5.5490 0.08
H -4.4516 -7.0667 7.1160 0.09
C -9.8325 -3.1529 12.5328 -0.07
C -10.4822 -1.8636 12.5830 -0.30
N -10.9772 -0.8269 12.6250 0.13
H -10.5974 -3.9274 12.4763 0.09
H -9.3887 -3.2450 13.5241 0.09
H -9.1373 -3.1258 11.6937 0.06
C -6.8260 -5.4735 9.9383 -0.08
C -7.0658 -4.1017 9.7108 -0.28
- - -
Sempervivum tectorum (rosette - leaves), Nanos, 28th June 2016. Common species of houseleek, found throughout Slovenia; on the karstic limestones can be really abundant.
Traunsteinera globosa, Nanos, 28th June 2016. Quite frequent species on mountain meadows, along with the very common Gymnadenia conopsea.
Iris sibirica ssp. erirrhiza, Nanos, 28th June 2016. Unlike the nominate subspecies sibirica, which is found in wet, lowland areas, the endemic ssp. erirrhiza (or "Kojnik's Iris") is a plant of dry grasslands. It grows commonly on Nanos, Banjščice & Snežnik plateaus and Čičarija - where on mount Kojnik has its locus typicus.
Allium victorialis, Nanos, 28th June 2016. Scarce montane species that blooms later than Allium ursinum and is usually commoner in the Alps.
Coenonympha arcania, Nanos, 28th June 2016. Very common butterfly these days. Some brambles (Rubus sp.) had tens of specimen resting on the leaves.
Roe Deer Capreolus capreolus (two males), Nanos, 28th June 2016.
Coenonympha oedippus, Karst near Trieste, 29th June 2016. My friend Paul Tout showed me this one, close to his garden, on the Karst. On a small clearing in scrubby habitat, a few specimen emerge every season, at this time of year. C. oedippus is usually found on wet meadows and bogs, but a population on the Karst (in Slovenia, Italy and Croatia) inhabits dry grassland areas. The above specimen thus belongs to the "dry grassland ecological type". It is a rare species in Slovenia and overall declining in Europe, due to habitat loss. Also Natura 2000 species.

The other day I spent the afternoon on the beautiful grassy slopes of mount Nanos and waited the sunset on a rock. In the evening I was quite surprised to hear a Corncrake Crex crex singing a couple of times. The habitat up there looks good for them, but as far as I know, no breeding population is present. It may happen that from time to time one or two males stop on migration and hold "empty territories" for a season. Also around in the evening were several singing Nightjars Caprimulgus europaeus.